(What to do)
Filter the contents below: keep the lines with the word "nearest".

(Material)
Entry 1:
A plane-wave DFT calculation with PBE-GGA was carried out for a relaxed Co3W3N crystal.

a b c (Å): 7.8137 7.8137 7.8137
angles (deg): 60.00 60.00 60.00
Last column: nearest neighbours and their distance in Å.
Atoms (fractional coordinates):
Co 0.1250 0.1250 0.6250  6 Co 2.38
W 0.7042 0.7042 0.2958  2 N 2.14
Co 0.6250 0.1250 0.1250  6 Co 2.38
Co 0.9184 0.9184 0.2448  6 Co 2.38-2.55, 3 W 2.66
Co 0.0052 0.3316 0.3316  6 Co 2.38-2.55, 3 W 2.66
W 0.9542 0.5458 0.5458  2 N 2.14
N 0.1250 0.6250 0.6250  6 W 2.14
N 0.6250 0.6250 0.6250  6 W 2.14
N 0.6250 0.6250 0.1250  6 W 2.14
W 0.5458 0.9542 0.5458  2 N 2.14
W 0.5458 0.5458 0.9542  2 N 2.14
Co 0.9184 0.9184 0.9184  6 Co 2.38-2.55, 3 W 2.66
Co 0.9184 0.2448 0.9184  6 Co 2.38-2.55, 3 W 2.66
W 0.2958 0.2958 0.7042  2 N 2.14
W 0.2958 0.7042 0.2958  2 N 2.14
Co 0.3316 0.3316 0.0052  6 Co 2.38-2.55, 3 W 2.66
W 0.2958 0.7042 0.7042  2 N 2.14
W 0.9542 0.9542 0.5458  2 N 2.14
Co 0.3316 0.0052 0.3316  6 Co 2.38-2.55, 3 W 2.66
W 0.5458 0.9542 0.9542  2 N 2.14
Co 0.2448 0.9184 0.9184  6 Co 2.38-2.55, 3 W 2.66
Co 0.1250 0.1250 0.1250  6 Co 2.38
Co 0.1250 0.6250 0.1250  6 Co 2.38
Co 0.3316 0.3316 0.3316  6 Co 2.38-2.55, 3 W 2.66
W 0.7042 0.2958 0.7042  2 N 2.14
W 0.7042 0.2958 0.2958  2 N 2.14
N 0.6250 0.1250 0.6250  6 W 2.14
W 0.9542 0.5458 0.9542  2 N 2.14

Properties
The corrected total energy (MP2020 scheme) comes out at -277.839 eV per cell. Its space-group type is Fd-3m (227).

***

Entry 2:
A plane-wave DFT calculation with PBE-GGA was carried out for a relaxed CoWN3 crystal.

a b c (Å): 5.6282 7.4717 7.9003
angles (deg): 114.86 110.18 79.03
Last column: nearest neighbours and their distance in Å.
Atoms (fractional coordinates):
N 0.0738 0.3346 0.5334  2 W 1.98-2.13, 2 Co 1.99-2.03
N 0.6641 0.2416 0.1810  1 W 1.79
Co 0.1258 0.8173 0.4056  5 N 1.87-2.03
Co 0.3834 0.1682 0.6003  5 N 1.84-1.99
N 0.3359 0.7584 0.8190  1 W 1.79
W 0.9632 0.0350 0.1779  2 N 1.80-2.02
N 0.8986 0.8334 0.9426  2 W 1.80-2.02
N 0.1833 0.0453 0.6570  3 Co 1.84-1.97
N 0.9262 0.6654 0.4666  2 W 1.98-2.13, 2 Co 1.99-2.03
W 0.0368 0.9650 0.8221  2 N 1.80-2.02
N 0.8167 0.9547 0.3430  3 Co 1.84-1.97
W 0.7244 0.4275 0.4231  3 N 1.79-2.00
N 0.6972 0.0333 0.6559  3 Co 1.87-1.92, 1 W 2.02
Co 0.6166 0.8318 0.3997  5 N 1.84-1.99
N 0.1014 0.1666 0.0574  2 W 1.80-2.02
W 0.2756 0.5725 0.5769  3 N 1.79-2.00
N 0.3028 0.9667 0.3441  3 Co 1.87-1.92, 1 W 2.02
N 0.4397 0.6456 0.4287  2 Co 1.98, 2 W 2.00-2.05
Co 0.8742 0.1827 0.5944  5 N 1.87-2.03
N 0.5603 0.3544 0.5713  2 Co 1.98, 2 W 2.00-2.05

Properties
The corrected total energy (MP2020 scheme) comes out at -181.044 eV per cell. Its space-group type is P-1 (2).

***

Entry 3:
A plane-wave DFT calculation with PBE-GGA was carried out for a relaxed Zn2CoN2 crystal.

a b c (Å): 5.9234 5.9234 7.3295
angles (deg): 56.52 56.52 36.46
Last column: nearest neighbours and their distance in Å.
Atoms (fractional coordinates):
N 0.4986 0.4986 0.3051  2 Co 1.83-1.84
Co 0.3753 0.3753 0.6140  3 N 1.83-1.87
Zn 0.0506 0.0506 0.1571  3 N 1.99-2.05
Zn 0.9494 0.9494 0.8429  3 N 1.99-2.05
N 0.5014 0.5014 0.6949  2 Co 1.83-1.84
Zn 0.3109 0.3109 0.2865  3 N 1.98-2.19
Zn 0.6891 0.6891 0.7135  3 N 1.98-2.19
Co 0.6247 0.6247 0.3860  3 N 1.83-1.87
N 0.8276 0.8276 0.1771  1 Co 1.87, 3 Zn 1.98-1.99
N 0.1724 0.1724 0.8229  1 Co 1.87, 3 Zn 1.98-1.99

Properties
The corrected total energy (MP2020 scheme) comes out at -51.680 eV per cell. Its space-group type is C2/m (12).

***

Entry 4:
A plane-wave DFT calculation with PBE-GGA was carried out for a relaxed Zn5CoN4 crystal.

a b c (Å): 7.3264 6.5322 4.9857
angles (deg): 90.00 90.00 90.00
Last column: nearest neighbours and their distance in Å.
Atoms (fractional coordinates):
Co 0.2500 0.7500 0.2718  4 N 1.96-2.14
Zn 0.9337 0.0005 0.2529  3 N 1.99-2.11
N 0.9986 0.2500 0.5038  5 Zn 2.10-2.19, 1 Co 2.14
Zn 0.4337 0.9995 0.7471  3 N 1.99-2.11
Zn 0.2500 0.2500 0.2675  4 N 2.02-2.19
N 0.0014 0.7500 0.4962  5 Zn 2.10-2.19, 1 Co 2.14

(Outcome)
Last column: nearest neighbours and their distance in Å.
Last column: nearest neighbours and their distance in Å.
Last column: nearest neighbours and their distance in Å.
Last column: nearest neighbours and their distance in Å.